6 Ways To Beat Holidays Blues

  We need to keep in mind that not everyone shares the Holiday spirit and there are some people who find this period of the year extremely difficult. While most of us look forward to reunite with our loved ones, others try to isolate themselves and stay away from the holiday madness which acts as a trigger for their depression. As a chronic illness sufferer, I know how challenging and daunting it can be to see others parading their good cheer and merriment while you’re all under the blue. It doesn’t make you a Grinch nor a Merkel, but it […]

When A-Z Lyme meets The Mighty

Over an year ago I became a contributor to THE MIGHTY, meaning they accepted to publish on their website some of my Lyme related articles. They offered me the exposure I needed to voice my story and raise more awareness for Lyme disease. Thanks to them, some of my articles were featured on Yahoo and Huffington Post. I couldn’t have reached a wider audience on my own. In addition, they added a direct link to my A-ZLYME.COM on each of my stories that they published. That little link they added, helped me increase the traffic to my website and have […]


Years back, while I was still struggling to get a diagnosis for my mysterious invisible illness, I reached the limit of my patience. I still remember this incident as if it took place yesterday. It was my first visit to a neurologist’s office.  I really had high hopes for this appointment. After seeing many other specialists before him, all unable to offer me an explanation for my multitude of symptoms, I was hoping he would be the one that would have a breakthrough. I was kind of at the end of the line, facing a dead end. To my surprise, […]

# Next to the text, the page also holds crystal structures
/*
# CdInHg2 (PBE-GGA, optimized geometry)
# Spin magnetization, μB/f.u.: 0.0
# Crystal system: monoclinic
# Energy relative to the elements, meV/atom: 13
data_CdInHg2
_cell_length_a 11.9523
_cell_length_b 3.5748
_cell_length_c 5.1123
_cell_angle_alpha 90.00
_cell_angle_beta 109.96
_cell_angle_gamma 90.00
_symmetry_space_group_name_H-M 'C 1 m 1'
_symmetry_Int_Tables_number 8
loop_
_symmetry_equiv_pos_as_xyz
'x,y,z'
'x,-y,z'
'x+1/2,y+1/2,z'
'x+1/2,-y+1/2,z'
loop_
_atom_site_label
_atom_site_type_symbol
_atom_site_fract_x
_atom_site_fract_y
_atom_site_fract_z
Cd1 Cd 0.0000 0.0000 0.0000
In1 In 0.2589 0.0000 0.5732
Hg1 Hg 0.0110 0.5000 0.5023
Hg2 Hg 0.2466 0.5000 0.0686

=====

This record from Alexandria via LeMat-Bulk describes crystalline Cs3Cu2PbBr8 at its relaxed geometry. The functional is PBE-GGA.

Lattice parameters (Å, degrees): 7.9561 7.9561 10.1597 90.00 90.00 120.00
Element x y z (fractional)
Cs (0.0000, 0.0000, 0.0000)
Cs (0.3333, 0.6667, 0.6379)
Cs (0.6667, 0.3333, 0.3621)
Cu (0.3333, 0.6667, 0.2126)
Cu (0.6667, 0.3333, 0.7874)
Pb (0.0000, 0.0000, 0.5000)
Br (0.1717, 0.3435, 0.3218)
Br (0.1717, 0.8283, 0.3218)
Br (0.3333, 0.6667, 0.9846)
Br (0.3435, 0.1717, 0.6782)
Br (0.6565, 0.8283, 0.3218)
Br (0.6667, 0.3333, 0.0154)
Br (0.8283, 0.1717, 0.6782)
*/


A journey of pain and suffering Being a Lyme sufferer prevented me from getting back to working full-time and made me jump through a lot of hoops. In a nutshell, I was one of the lucky ones who managed to see the light at the end of the tunnel, meaning that I managed to find a way to live a normal life after becoming a Lymie. I won’t lie to you, this was a long journey with ups and downs and many dead ends. It was a journey that I did all alone cause most of my friends vanished on […]


Change is always for the better! One morning I asked myself if it wouldn’t be easier for me to do what I could do and completely forget about the others. Solely focus on me and my needs. I kept on telling myself this until I incorporated it into my way of thinking. The moment I changed my way of thinking, everything seemed easier, better, brighter. It hurt for a few weeks until one day when I discovered I was enjoying my new freedom. I felt free because I could have stayed the whole day without feeling weird, inventing excuses, or […]


Lymonade anyone?In my first years as a Lymie, during the short occasions I was going out socializing with friends, I found myself talking about my Lyme disease. Usually people were talking about how great everything was going for them, what had happened at work, what shopping spree the girls had, what restaurant they have gone, and babies. None of those topics was contingent with what I had on my depressed agenda. My days were passing at a totally different pace, in a different environment where I had to deal constantly with my sickness which had taken over my life. My […]


  When you are chronic pain sufferer or a Lymie (Lyme disease victim) you are accustomed to pain. You can’t complain anymore about it because it is part of your normality. By now you learnt how to live with it and how to ignore it. You don’t run to the doctor anymore when your joints get swollen and ache or when you have muscle pain and twitches, horrible migraines, heart palpitations and so on. The doctor can’t help you anyway! He can’t make them go away! He’s not a wizard! Since you are dealing daily with a cocktail of symptoms […]


Ixodes scapularis ticks are known to carry and transmit Borrelia Burgdorferi, resulting a multi-system illness affecting humans and animals as well. How does a bacteria trick an innate immune system? It uses a mechanism to fight the hosts’ immune response. Researchers from the University of Maryland (UMD) have discovered how Borrelia Burgdorferi can survive for months within the human body. Dr. Utpal Pal and his team have done research on Lyme and Borrelia for over a decade at UMD. One of his latest studies revealed that Borrelia has an incredible ability  of creating a protein that dissolves the host’s body […]


Recently I have been asked on few different occasions why I chose The Lyme Poet as a pseudonym for my writing. What was the reason behind it or what was the connection between Lyme and my poetry. To answer the question, I will say that Lyme and poetry are two of the things that describe me the most. I write poetry and I am a Lyme disease advocate. I even write poetry about Lyme disease. As a chronic Lyme disease sufferer I have seen my health deteriorating to a point where I thought there was no turning back. Lyme stole […]


  If someone would ask me what are the most annoying Lyme-related symptoms that I ever experienced, I would have a list ready within less than a minute. As a late stage Lyme disease victim I experienced a lot of symptoms, mostly because my illness was not discovered on time. Thus I ended up developing neurological symptoms, muscles and joints problems, heart and circulation and digestion. Let’s start the final countdown and see what are the insidious symptoms. Keep in mind that the list below starts with the less annoying symptom and ends with the winner, the most disturbing symptom […]